[1]
Computed X-ray powder pattern of Al2CdAgTe4 for a wavelength of 1.5418 Å, from a crystal structure in Alexandria, relaxed with PBE.
Lines closer than 0.1° are merged.

Atomic structure:
Cell lengths 7.8622, 7.5960, 6.5273 Å; angles 67.16, 62.92, 49.92 degrees
Fractional positions:
Al: 0.0000 0.0000 0.5000
Al: 0.5000 0.5000 0.0000
Cd: 0.2426 0.2426 0.7574
Ag: 0.7469 0.7469 0.2531
Te: 0.1151 0.6192 0.3808
Te: 0.3541 0.8445 0.6459
Te: 0.6192 0.1151 0.8849
Te: 0.8445 0.3541 0.1555

The 10 most intense peaks (5 to 70 degrees two-theta), by angle:
2θ = 23.3°, 3.812 Å, intensity 89
2θ = 24.9°, 3.581 Å, intensity 100
2θ = 31.1°, 2.878 Å, intensity 16
2θ = 37.2°, 2.417 Å, intensity 28
2θ = 40.2°, 2.243 Å, intensity 86
2θ = 41.2°, 2.193 Å, intensity 21
2θ = 45.3°, 2.003 Å, intensity 39
2θ = 47.9°, 1.901 Å, intensity 44
2θ = 56.7°, 1.624 Å, intensity 16
2θ = 69.1°, 1.359 Å, intensity 17

[2]
Computed X-ray powder pattern of AlZnCdAg3 for a wavelength of 1.5418 Å, from a crystal structure in Alexandria, relaxed with PBE.
Lines closer than 0.1° are merged.

Atomic structure:
Cell lengths 7.5640, 7.5640, 9.4814 Å; angles 90.00, 90.00, 157.08 degrees
Fractional positions:
Al: 0.0000 0.0000 0.0000
Al: 0.0000 0.0000 0.5000
Zn: 0.4481 0.5519 0.7500
Zn: 0.5519 0.4481 0.2500
Cd: 0.2258 0.7742 0.2500
Cd: 0.7742 0.2258 0.7500
Ag: 0.1012 0.8988 0.7500
Ag: 0.3413 0.6587 0.5040
Ag: 0.3413 0.6587 0.9960
Ag: 0.6587 0.3413 0.0040
Ag: 0.6587 0.3413 0.4960
Ag: 0.8988 0.1012 0.2500

The 10 most intense peaks (5 to 70 degrees two-theta), by angle:
2θ = 11.9°, 7.413 Å, intensity 22
2θ = 36.2°, 2.479 Å, intensity 66
2θ = 37.6°, 2.391 Å, intensity 21
2θ = 38.0°, 2.370 Å, intensity 60
2θ = 39.9°, 2.258 Å, intensity 100
2θ = 41.2°, 2.191 Å, intensity 57
2θ = 45.5°, 1.993 Å, intensity 35
2θ = 61.7°, 1.503 Å, intensity 18
2θ = 64.5°, 1.445 Å, intensity 20
2θ = 69.9°, 1.346 Å, intensity 17

[3]
Computed X-ray powder pattern of CeAl3Ag10 for a wavelength of 1.5418 Å, from a crystal structure in Alexandria, relaxed with PBE.
Lines closer than 0.1° are merged.

Atomic structure:
Cell lengths 9.2824, 9.2824, 9.2824 Å; angles 60.00, 60.00, 60.00 degrees
Fractional positions:
Ce: 0.2500 0.2500 0.2500
Ce: 0.7500 0.7500 0.7500
Al: 0.2384 0.2384 0.7616
Al: 0.2384 0.7616 0.2384
Al: 0.2384 0.7616 0.7616
Al: 0.7616 0.2384 0.2384
Al: 0.7616 0.2384 0.7616
Al: 0.7616 0.7616 0.2384
Ag: 0.1146 0.1146 0.1146
Ag: 0.1146 0.1146 0.6563
Ag: 0.1146 0.6563 0.1146
Ag: 0.1535 0.5000 0.5000
Ag: 0.1535 0.5000 0.8465
Ag: 0.1535 0.8465 0.5000
Ag: 0.3437 0.8854 0.8854
Ag: 0.5000 0.1535 0.5000
Ag: 0.5000 0.1535 0.8465
Ag: 0.5000 0.5000 0.1535
Ag: 0.5000 0.5000 0.8465
Ag: 0.5000 0.8465 0.1535
Ag: 0.5000 0.8465 0.5000
Ag: 0.6563 0.1146 0.1146
Ag: 0.8465 0.1535 0.5000
Ag: 0.8465 0.5000 0.1535
Ag: 0.8465 0.5000 0.5000
Ag: 0.8854 0.3437 0.8854
Ag: 0.8854 0.8854 0.3437
Ag: 0.8854 0.8854 0.8854

The 10 most intense peaks (5 to 70 degrees two-theta), by angle:
2θ = 30.5°, 2.935 Å, intensity 47
2θ = 33.4°, 2.680 Å, intensity 24
2θ = 35.5°, 2.526 Å, intensity 100
2θ = 38.8°, 2.321 Å, intensity 28
2θ = 40.7°, 2.219 Å, intensity 49
2θ = 45.9°, 1.979 Å, intensity 21
2θ = 57.9°, 1.592 Å, intensity 15
2θ = 59.8°, 1.547 Å, intensity 29
2θ = 61.1°, 1.516 Å, intensity 12
2θ = 64.7°, 1.441 Å, intensity 13

[4]
Computed X-ray powder pattern of Ce2AlAg5 for a wavelength of 1.5418 Å, from a crystal structure in Alexandria, relaxed with PBE.
Lines closer than 0.1° are merged.

Atomic structure:
Cell lengths 8.6686, 8.6686, 9.7038 Å; angles 90.00, 90.00, 149.98 degrees
Fractional positions:
Ce: 0.0000 0.0000 0.0000
Ce: 0.0000 0.0000 0.5000
Ce: 0.1958 0.8042 0.7500
Ce: 0.8042 0.1958 0.2500
Al: 0.4510 0.5490 0.2500
Al: 0.5490 0.4510 0.7500
Ag: 0.1920 0.8080 0.1059
Ag: 0.1920 0.8080 0.3941
Ag: 0.3602 0.6398 0.0342
Ag: 0.3602 0.6398 0.4658
Ag: 0.3966 0.6034 0.7500
Ag: 0.6034 0.3966 0.2500
Ag: 0.6398 0.3602 0.5342
Ag: 0.6398 0.3602 0.9658
Ag: 0.8080 0.1920 0.6059
Ag: 0.8080 0.1920 0.8941
The reader should duplicate the material further above from the first line to the one with "64.7°, 1.441" with every line break kept.
[1]
Computed X-ray powder pattern of Al2CdAgTe4 for a wavelength of 1.5418 Å, from a crystal structure in Alexandria, relaxed with PBE.
Lines closer than 0.1° are merged.

Atomic structure:
Cell lengths 7.8622, 7.5960, 6.5273 Å; angles 67.16, 62.92, 49.92 degrees
Fractional positions:
Al: 0.0000 0.0000 0.5000
Al: 0.5000 0.5000 0.0000
Cd: 0.2426 0.2426 0.7574
Ag: 0.7469 0.7469 0.2531
Te: 0.1151 0.6192 0.3808
Te: 0.3541 0.8445 0.6459
Te: 0.6192 0.1151 0.8849
Te: 0.8445 0.3541 0.1555

The 10 most intense peaks (5 to 70 degrees two-theta), by angle:
2θ = 23.3°, 3.812 Å, intensity 89
2θ = 24.9°, 3.581 Å, intensity 100
2θ = 31.1°, 2.878 Å, intensity 16
2θ = 37.2°, 2.417 Å, intensity 28
2θ = 40.2°, 2.243 Å, intensity 86
2θ = 41.2°, 2.193 Å, intensity 21
2θ = 45.3°, 2.003 Å, intensity 39
2θ = 47.9°, 1.901 Å, intensity 44
2θ = 56.7°, 1.624 Å, intensity 16
2θ = 69.1°, 1.359 Å, intensity 17

[2]
Computed X-ray powder pattern of AlZnCdAg3 for a wavelength of 1.5418 Å, from a crystal structure in Alexandria, relaxed with PBE.
Lines closer than 0.1° are merged.

Atomic structure:
Cell lengths 7.5640, 7.5640, 9.4814 Å; angles 90.00, 90.00, 157.08 degrees
Fractional positions:
Al: 0.0000 0.0000 0.0000
Al: 0.0000 0.0000 0.5000
Zn: 0.4481 0.5519 0.7500
Zn: 0.5519 0.4481 0.2500
Cd: 0.2258 0.7742 0.2500
Cd: 0.7742 0.2258 0.7500
Ag: 0.1012 0.8988 0.7500
Ag: 0.3413 0.6587 0.5040
Ag: 0.3413 0.6587 0.9960
Ag: 0.6587 0.3413 0.0040
Ag: 0.6587 0.3413 0.4960
Ag: 0.8988 0.1012 0.2500

The 10 most intense peaks (5 to 70 degrees two-theta), by angle:
2θ = 11.9°, 7.413 Å, intensity 22
2θ = 36.2°, 2.479 Å, intensity 66
2θ = 37.6°, 2.391 Å, intensity 21
2θ = 38.0°, 2.370 Å, intensity 60
2θ = 39.9°, 2.258 Å, intensity 100
2θ = 41.2°, 2.191 Å, intensity 57
2θ = 45.5°, 1.993 Å, intensity 35
2θ = 61.7°, 1.503 Å, intensity 18
2θ = 64.5°, 1.445 Å, intensity 20
2θ = 69.9°, 1.346 Å, intensity 17

[3]
Computed X-ray powder pattern of CeAl3Ag10 for a wavelength of 1.5418 Å, from a crystal structure in Alexandria, relaxed with PBE.
Lines closer than 0.1° are merged.

Atomic structure:
Cell lengths 9.2824, 9.2824, 9.2824 Å; angles 60.00, 60.00, 60.00 degrees
Fractional positions:
Ce: 0.2500 0.2500 0.2500
Ce: 0.7500 0.7500 0.7500
Al: 0.2384 0.2384 0.7616
Al: 0.2384 0.7616 0.2384
Al: 0.2384 0.7616 0.7616
Al: 0.7616 0.2384 0.2384
Al: 0.7616 0.2384 0.7616
Al: 0.7616 0.7616 0.2384
Ag: 0.1146 0.1146 0.1146
Ag: 0.1146 0.1146 0.6563
Ag: 0.1146 0.6563 0.1146
Ag: 0.1535 0.5000 0.5000
Ag: 0.1535 0.5000 0.8465
Ag: 0.1535 0.8465 0.5000
Ag: 0.3437 0.8854 0.8854
Ag: 0.5000 0.1535 0.5000
Ag: 0.5000 0.1535 0.8465
Ag: 0.5000 0.5000 0.1535
Ag: 0.5000 0.5000 0.8465
Ag: 0.5000 0.8465 0.1535
Ag: 0.5000 0.8465 0.5000
Ag: 0.6563 0.1146 0.1146
Ag: 0.8465 0.1535 0.5000
Ag: 0.8465 0.5000 0.1535
Ag: 0.8465 0.5000 0.5000
Ag: 0.8854 0.3437 0.8854
Ag: 0.8854 0.8854 0.3437
Ag: 0.8854 0.8854 0.8854

The 10 most intense peaks (5 to 70 degrees two-theta), by angle:
2θ = 30.5°, 2.935 Å, intensity 47
2θ = 33.4°, 2.680 Å, intensity 24
2θ = 35.5°, 2.526 Å, intensity 100
2θ = 38.8°, 2.321 Å, intensity 28
2θ = 40.7°, 2.219 Å, intensity 49
2θ = 45.9°, 1.979 Å, intensity 21
2θ = 57.9°, 1.592 Å, intensity 15
2θ = 59.8°, 1.547 Å, intensity 29
2θ = 61.1°, 1.516 Å, intensity 12
2θ = 64.7°, 1.441 Å, intensity 13